# Request
Please start at the top of the contents further down and restate each line, ending with the one that has "NbTe2WN for".

# Material
- - -
Computed XRD peak list of TbZrNbN3 for copper Kα, from a PBE-relaxed structure.
Neutral-atom scattering factors, no anomalous dispersion.

Most intense lines, 2θ from 10° to 90°, in order of rising 2θ:
(2 0 -1), d 2.811, 31.8°, intensity 48
(0 0 3), d 2.748, 32.6°, intensity 31
(1 0 -3), d 2.709, 33.1°, intensity 21
(1 1 1), d 2.576, 34.8°, intensity 97
(1 1 -2), d 2.457, 36.6°, intensity 100
(2 0 2), d 2.089, 43.3°, intensity 26
(0 1 4), d 1.744, 52.5°, intensity 18
(0 2 0), d 1.636, 56.2°, intensity 24
(3 1 0), d 1.603, 57.5°, intensity 22
(4 0 -1), d 1.414, 66.1°, intensity 16

Atomic structure:
```
TbZrNbN3
1.0
5.6597 0.0000 0.0000
0.0000 3.2724 0.0000
-1.8601 0.0000 8.2426
Tb Zr Nb N
2 2 2 6
Cartesian
0.4792 0.8181 1.5679
3.3204 2.4543 6.6747
0.4903 2.4543 4.5260
3.3093 0.8181 3.7165
0.5101 0.8181 7.1525
3.2895 2.4543 1.0901
-0.9028 0.8181 5.4529
-0.4756 2.4543 8.1772
1.9548 2.4543 2.8246
1.8448 0.8181 5.4180
4.2752 0.8181 0.0653
4.7024 2.4543 2.7897
```

Computed XRD peak list of NbTe2N2 for copper Kα, from a PBE-relaxed structure.
Neutral-atom scattering factors, no anomalous dispersion.

Most intense lines, 2θ from 10° to 90°, in order of rising 2θ:
(0 0 1), d 6.129, 14.5°, intensity 43
(1 0 0), d 4.127, 21.5°, intensity 23
(1 0 1), d 3.423, 26.0°, intensity 29
(0 0 2), d 3.064, 29.1°, intensity 80
(1 1 0), d 2.918, 30.6°, intensity 100
(1 1 1), d 2.635, 34.0°, intensity 49
(1 1 2), d 2.113, 42.8°, intensity 81
(2 0 0), d 2.064, 43.9°, intensity 50
(2 0 2), d 1.712, 53.5°, intensity 55
(3 1 2), d 1.201, 79.9°, intensity 26

Atomic structure:
```
NbTe2N2
1.0
4.1272 0.0000 0.0000
0.0000 4.1272 0.0000
0.0000 0.0000 6.1289
Nb Te N
1 2 2
Cartesian
0.0000 0.0000 0.0000
0.0000 0.0000 3.0644
2.0636 2.0636 3.0644
0.0000 2.0636 0.0000
2.0636 0.0000 0.0000
```

Computed XRD peak list of NbTe2WN for copper Kα, from a PBE-relaxed structure.
Neutral-atom scattering factors, no anomalous dispersion.

Most intense lines, 2θ from 10° to 90°, in order of rising 2θ:
(0 0 1), d 3.783, 23.5°, intensity 41
(1 0 1), d 3.107, 28.7°, intensity 68
(2 0 0), d 2.723, 32.9°, intensity 100
(1 1 1), d 2.699, 33.2°, intensity 21
(2 0 1), d 2.210, 40.8°, intensity 39
(2 1 1), d 2.048, 44.2°, intensity 42
(2 2 0), d 1.925, 47.2°, intensity 36
(2 2 1), d 1.716, 53.4°, intensity 18
(2 0 2), d 1.553, 59.5°, intensity 36
(2 2 2), d 1.349, 69.7°, intensity 22

Atomic structure:
```
NbTe2WN
1.0
5.4451 0.0000 0.0000
0.0000 5.4451 0.0000
0.0000 0.0000 3.7831
Nb Te W N
1 2 1 1
Cartesian
0.0000 0.0000 0.0000
0.0000 2.7226 1.8916
2.7226 0.0000 1.8916
2.7226 2.7226 1.8916
2.7226 2.7226 0.0000
```
- - -

# Solution
Computed XRD peak list of TbZrNbN3 for copper Kα, from a PBE-relaxed structure.
Neutral-atom scattering factors, no anomalous dispersion.

Most intense lines, 2θ from 10° to 90°, in order of rising 2θ:
(2 0 -1), d 2.811, 31.8°, intensity 48
(0 0 3), d 2.748, 32.6°, intensity 31
(1 0 -3), d 2.709, 33.1°, intensity 21
(1 1 1), d 2.576, 34.8°, intensity 97
(1 1 -2), d 2.457, 36.6°, intensity 100
(2 0 2), d 2.089, 43.3°, intensity 26
(0 1 4), d 1.744, 52.5°, intensity 18
(0 2 0), d 1.636, 56.2°, intensity 24
(3 1 0), d 1.603, 57.5°, intensity 22
(4 0 -1), d 1.414, 66.1°, intensity 16

Atomic structure:
```
TbZrNbN3
1.0
5.6597 0.0000 0.0000
0.0000 3.2724 0.0000
-1.8601 0.0000 8.2426
Tb Zr Nb N
2 2 2 6
Cartesian
0.4792 0.8181 1.5679
3.3204 2.4543 6.6747
0.4903 2.4543 4.5260
3.3093 0.8181 3.7165
0.5101 0.8181 7.1525
3.2895 2.4543 1.0901
-0.9028 0.8181 5.4529
-0.4756 2.4543 8.1772
1.9548 2.4543 2.8246
1.8448 0.8181 5.4180
4.2752 0.8181 0.0653
4.7024 2.4543 2.7897
```

Computed XRD peak list of NbTe2N2 for copper Kα, from a PBE-relaxed structure.
Neutral-atom scattering factors, no anomalous dispersion.

Most intense lines, 2θ from 10° to 90°, in order of rising 2θ:
(0 0 1), d 6.129, 14.5°, intensity 43
(1 0 0), d 4.127, 21.5°, intensity 23
(1 0 1), d 3.423, 26.0°, intensity 29
(0 0 2), d 3.064, 29.1°, intensity 80
(1 1 0), d 2.918, 30.6°, intensity 100
(1 1 1), d 2.635, 34.0°, intensity 49
(1 1 2), d 2.113, 42.8°, intensity 81
(2 0 0), d 2.064, 43.9°, intensity 50
(2 0 2), d 1.712, 53.5°, intensity 55
(3 1 2), d 1.201, 79.9°, intensity 26

Atomic structure:
```
NbTe2N2
1.0
4.1272 0.0000 0.0000
0.0000 4.1272 0.0000
0.0000 0.0000 6.1289
Nb Te N
1 2 2
Cartesian
0.0000 0.0000 0.0000
0.0000 0.0000 3.0644
2.0636 2.0636 3.0644
0.0000 2.0636 0.0000
2.0636 0.0000 0.0000
```

Computed XRD peak list of NbTe2WN for copper Kα, from a PBE-relaxed structure.